• Excerpt:
┌──
# 1
Starting from the PBE geometry in OQMD, the powder X-ray diffraction pattern of BePdF6 was calculated for Cu Kα, 1.54184 Å.
Lines closer than 0.1° are merged.

Structure:
```
data_BePdF6
_cell_length_a 4.5544
_cell_length_b 4.5544
_cell_length_c 12.5234
_cell_angle_alpha 90.00
_cell_angle_beta 90.00
_cell_angle_gamma 120.00
_symmetry_space_group_name_H-M 'R -3'
_symmetry_Int_Tables_number 148
_symmetry_space_group_name_Hall '-R 3'
loop_
_atom_site_label
_atom_site_fract_x
_atom_site_fract_y
_atom_site_fract_z
Be1 0.0000 0.0000 0.0000
Pd1 0.0000 0.0000 0.5000
F1 0.0059 0.3153 0.9221
```

Most intense lines, 2θ from 5° to 70°, by angle:
21.28 deg, rel. 32, (0 0 3); 23.65 deg, rel. 81, (1 0 1); 26.71 deg, rel. 100, (0 1 2); 36.65 deg, rel. 39, (1 0 4); 42.77 deg, rel. 24, (0 1 5); 45.37 deg, rel. 68, (2 -1 3); 46.62 deg, rel. 21, (0 2 1); 48.39 deg, rel. 16, (2 0 2); 60.14 deg, rel. 37, (1 1 6); 64.22 deg, rel. 15, (1 2 2)



# 2
Starting from the PBE geometry in OQMD, the powder X-ray diffraction pattern of U2AuF11 was calculated for Cu Kα, 1.54184 Å.
Lines closer than 0.1° are merged.

Structure:
```
data_U2AuF11
_cell_length_a 10.920
_cell_length_b 10.920
_cell_length_c 6.164
_cell_angle_alpha 90.00
_cell_angle_beta 90.00
_cell_angle_gamma 90.00
_symmetry_space_group_name_H-M 'I 4/m c m'
_symmetry_Int_Tables_number 140
_symmetry_space_group_name_Hall '-I 4 2c'
loop_
_atom_site_label
_atom_site_fract_x
_atom_site_fract_y
_atom_site_fract_z
U1 0.146 0.354 0.000
Au1 0.000 0.000 0.000
F1 0.000 0.313 0.250
F2 0.000 0.500 0.000
F3 0.110 0.158 0.000
F4 0.250 0.250 0.250
```

Most intense lines, 2θ from 5° to 70°, by angle:
23.24 deg, rel. 100, (2 1 1); 25.80 deg, rel. 51, (3 1 0); 28.97 deg, rel. 23, (0 0 2); 39.18 deg, rel. 29, (3 1 2); 47.08 deg, rel. 12, (4 4 0); 47.18 deg, rel. 26, (5 2 1); 47.51 deg, rel. 18, (4 2 2); 48.04 deg, rel. 15, (2 1 3); 56.23 deg, rel. 12, (4 4 2); 64.57 deg, rel. 10, (5 2 3)



# 3
Starting from the PBE geometry in OQMD, the powder X-ray diffraction pattern of Pr2NdNi8Pt was calculated for Cu Kα, 1.54184 Å.
Lines closer than 0.1° are merged.

Structure:
```
data_Pr2NdNi8Pt
_cell_length_a 5.0729
_cell_length_b 5.0729
_cell_length_c 25.1571
_cell_angle_alpha 90.00
_cell_angle_beta 90.00
_cell_angle_gamma 120.00
_symmetry_space_group_name_H-M 'R -3 m'
_symmetry_Int_Tables_number 166
_symmetry_space_group_name_Hall '-R 3 2"'
loop_
_atom_site_label
_atom_site_fract_x
_atom_site_fract_y
_atom_site_fract_z
Pr1 0.0000 0.0000 0.1369
Nd1 0.0000 0.0000 0.0000
Ni1 0.0000 0.0000 0.3329
Ni2 0.0026 0.5013 0.9217
Pt1 0.0000 0.0000 0.5000
```

Most intense lines, 2θ from 5° to 70°, by angle:
32.18 deg, rel. 16, (1 0 7); 35.09 deg, rel. 56, (0 1 8); 35.39 deg, rel. 59, (1 1 0); 41.26 deg, rel. 17, (0 2 1); 41.61 deg, rel. 100, (1 1 6); 41.74 deg, rel. 19, (2 0 2); 44.67 deg, rel. 18, (0 1 11); 45.03 deg, rel. 22, (2 0 5); 63.34 deg, rel. 19, (1 2 8); 67.78 deg, rel. 23, (3 0 6)



Number 2 is which compound?
U2AuF11

----------

Entry 1:
Starting from the PBE geometry in the Materials Project, the powder X-ray diffraction pattern of TbInRh was computed for Cu Kα, 1.54184 Å.
Kinematic intensities with the Lorentz-polarization factor, no thermal factor.

Crystal structure
```
TbInRh
1.0
7.5450 0.0000 0.0000
-3.7725 6.5341 0.0000
0.0000 0.0000 3.9613
Tb In Rh
3 3 3
Cartesian
-2.2362 3.8732 0.0000
1.5363 2.6609 0.0000
4.4724 0.0000 0.0000
-0.9655 1.6723 1.9806
1.9310 0.0000 1.9806
2.8070 4.8619 1.9806
0.0000 0.0000 0.0000
0.0000 4.3561 1.9806
3.7725 2.1780 1.9806
```

Main lines, sorted by position (2θ = 10–90°):
h k l	2θ/deg	I (rel.)
1 1 1	32.78	100
2 0 1	35.62	86
2 1 0	36.38	46
3 0 0	41.46	34
2 1 1	43.17	21
0 0 2	45.81	24
3 1 1	55.78	17
2 1 2	59.86	21
3 0 2	63.48	19
3 2 1	66.72	29



Entry 2:
Starting from the PBE geometry in the Materials Project, the powder X-ray diffraction pattern of KErP2S7 was computed for Cu Kα, 1.54184 Å.
Kinematic intensities with the Lorentz-polarization factor, no thermal factor.
└──
• Assignment:
Copy the data further up from the line with "which compound?" to the end verbatim.
• Done:
Number 2 is which compound?
U2AuF11

----------

Entry 1:
Starting from the PBE geometry in the Materials Project, the powder X-ray diffraction pattern of TbInRh was computed for Cu Kα, 1.54184 Å.
Kinematic intensities with the Lorentz-polarization factor, no thermal factor.

Crystal structure
```
TbInRh
1.0
7.5450 0.0000 0.0000
-3.7725 6.5341 0.0000
0.0000 0.0000 3.9613
Tb In Rh
3 3 3
Cartesian
-2.2362 3.8732 0.0000
1.5363 2.6609 0.0000
4.4724 0.0000 0.0000
-0.9655 1.6723 1.9806
1.9310 0.0000 1.9806
2.8070 4.8619 1.9806
0.0000 0.0000 0.0000
0.0000 4.3561 1.9806
3.7725 2.1780 1.9806
```

Main lines, sorted by position (2θ = 10–90°):
h k l	2θ/deg	I (rel.)
1 1 1	32.78	100
2 0 1	35.62	86
2 1 0	36.38	46
3 0 0	41.46	34
2 1 1	43.17	21
0 0 2	45.81	24
3 1 1	55.78	17
2 1 2	59.86	21
3 0 2	63.48	19
3 2 1	66.72	29



Entry 2:
Starting from the PBE geometry in the Materials Project, the powder X-ray diffraction pattern of KErP2S7 was computed for Cu Kα, 1.54184 Å.
Kinematic intensities with the Lorentz-polarization factor, no thermal factor.